Request.
Next, reproduce all of the contents further down without additions.
Contents.
┌──
# 1
77
Properties=species:S:1:pos:R:3:lowdin_spin:R:1 method="wB97M-V/def2-TZVPD" relative_energy_ev=2.8355 homo_ev="-1.5 / -2.5" spin_multiplicity=6 homo_lumo_gap_ha="0.1469 / 0.1829" lumo_ha="0.08998 / 0.09121" charge=-1
Dy -0.245 -0.465 0.311 4.363
N -2.222 -1.550 0.599 -0.022
N -0.625 -2.502 -1.630 -0.016
C 2.020 0.895 -0.509 -0.029
C 2.308 -0.402 0.056 -0.023
C 2.052 -0.336 1.483 -0.019
C 2.370 -1.510 2.336 -0.002
H 2.364 -2.432 1.733 -0.001
H 1.590 -1.689 3.114 0.000
H 3.358 -1.484 2.818 0.000
C 1.535 0.991 1.774 -0.024
C 1.081 1.623 3.044 -0.002
H 1.895 1.865 3.742 0.000
H 0.404 0.985 3.614 0.000
H 0.528 2.545 2.831 -0.001
C 1.530 1.732 0.537 -0.031
C 1.269 3.199 0.393 -0.004
H 0.384 3.537 0.956 -0.002
H 1.153 3.488 -0.662 0.000
H 2.142 3.768 0.771 0.000
C 2.795 -1.591 -0.698 -0.002
H 3.860 -1.787 -0.483 0.000
H 2.716 -1.425 -1.782 0.000
H 2.228 -2.512 -0.474 -0.001
C 2.562 1.399 -1.799 -0.002
H 1.821 2.001 -2.353 -0.001
H 2.894 0.568 -2.438 0.000
H 3.448 2.040 -1.602 -0.001
C -2.950 -1.046 1.611 -0.018
H -3.632 -0.177 1.440 -0.002
C -2.875 -1.715 2.870 0.003
H -3.165 -1.198 3.784 0.001
C -2.663 -3.140 2.795 -0.004
H -2.965 -3.795 3.620 0.000
C -1.977 -3.650 1.730 0.009
H -1.501 -4.629 1.761 0.000
C -1.634 -2.800 0.643 -0.013
C -0.689 -3.154 -0.380 -0.014
H -0.325 -4.179 -0.450 0.000
C -0.704 -1.130 -1.798 -0.057
C -0.342 -3.146 -2.862 -0.002
H -0.288 -4.223 -2.953 0.000
C -0.272 -2.168 -3.777 -0.003
H -0.118 -2.245 -4.847 0.000
N -0.553 -0.967 -3.147 -0.009
C -0.732 0.298 -3.753 -0.001
C 0.299 0.872 -4.517 -0.001
C 0.152 2.205 -4.921 0.000
H 0.976 2.691 -5.463 0.000
C -1.005 2.934 -4.622 -0.001
C -1.195 4.337 -5.097 0.000
H -1.069 5.054 -4.278 0.000
H -2.208 4.469 -5.492 0.000
H -0.480 4.580 -5.886 0.000
C -2.002 2.336 -3.844 0.000
H -2.882 2.913 -3.541 0.000
C -1.901 1.009 -3.439 -0.001
C -3.015 0.381 -2.673 -0.002
H -3.567 -0.381 -3.243 0.000
H -3.724 1.164 -2.386 0.000
H -2.682 -0.094 -1.738 -0.002
C 1.569 0.138 -4.845 0.000
H 1.505 -0.406 -5.802 0.000
H 1.874 -0.581 -4.074 0.000
H 2.390 0.864 -4.958 0.000
S -0.550 -1.416 3.300 0.029
C -0.386 -1.190 4.999 0.145
N -1.352 -1.545 5.944 0.202
C -1.256 -1.116 7.250 0.189
C -0.205 -0.314 7.627 0.019
C 0.878 -0.122 6.763 0.254
C 0.798 -0.631 5.472 0.061
H -2.089 -2.210 5.704 0.007
H -2.029 -1.422 7.956 0.016
H -0.205 0.180 8.590 -0.006
H 1.784 0.398 7.082 0.021
H 1.619 -0.494 4.771 -0.001

=====

# 2
91
Properties=species:S:1:pos:R:3:lowdin_spin:R:1 method="wB97M-V/def2-TZVPD" homo_ev="-10.9 / -10.7" spin_multiplicity=2 homo_lumo_gap_ha="0.2638 / 0.2410" lumo_ha="-0.13543 / -0.15271" charge=+1
Re -0.530 0.804 -1.020 0.323
C 2.663 -0.368 -3.188 0.001
Si 2.861 0.782 -1.686 0.002
C 4.462 0.407 -0.705 0.000
C 2.814 2.654 -2.051 0.001
N 1.491 0.419 -0.602 0.005
P 1.465 0.527 1.055 0.053
C -0.318 0.498 1.104 0.454
P -1.244 -1.026 1.106 0.051
N -1.327 -1.052 -0.549 0.010
Si -2.501 -1.862 -1.604 0.001
C -2.947 -3.531 -0.786 0.000
C -1.581 -2.076 -3.252 0.002
C -4.102 -0.862 -1.835 0.000
C -2.856 -0.701 1.855 0.004
C -3.717 -1.705 2.287 0.000
C -4.996 -1.378 2.705 0.001
C -5.411 -0.056 2.713 0.001
C -4.539 0.950 2.324 0.001
C -3.268 0.628 1.888 0.009
C -0.553 -2.589 1.680 0.005
C 0.027 -3.449 0.755 0.001
C 0.522 -4.670 1.176 0.000
C 0.466 -5.016 2.518 0.001
C -0.074 -4.136 3.443 0.001
C -0.591 -2.922 3.028 0.001
C 2.016 2.173 1.557 0.006
C 1.121 3.225 1.392 0.004
C 1.528 4.524 1.634 0.000
C 2.841 4.781 2.004 0.001
C 3.734 3.734 2.169 0.001
C 3.321 2.429 1.964 0.001
C 2.460 -0.759 1.837 0.002
C 2.741 -1.899 1.093 0.000
C 3.505 -2.909 1.646 0.000
C 3.987 -2.783 2.941 0.000
C 3.679 -1.661 3.692 0.000
C 2.910 -0.645 3.148 0.000
H 3.321 -0.069 -3.997 0.000
H 1.643 -0.317 -3.554 0.000
H 2.882 -1.407 -2.961 0.000
H 5.329 0.565 -1.337 0.000
H 4.516 -0.609 -0.326 0.000
H 4.560 1.078 0.141 0.000
H 3.230 2.889 -3.025 0.000
H 3.379 3.224 -1.318 0.000
H 1.792 3.017 -2.026 0.000
H -2.092 -4.184 -0.641 0.000
H -3.653 -4.056 -1.422 0.000
H -3.423 -3.393 0.180 0.000
H -0.809 -2.838 -3.226 0.000
└──
Outcome.
# 1
77
Properties=species:S:1:pos:R:3:lowdin_spin:R:1 method="wB97M-V/def2-TZVPD" relative_energy_ev=2.8355 homo_ev="-1.5 / -2.5" spin_multiplicity=6 homo_lumo_gap_ha="0.1469 / 0.1829" lumo_ha="0.08998 / 0.09121" charge=-1
Dy -0.245 -0.465 0.311 4.363
N -2.222 -1.550 0.599 -0.022
N -0.625 -2.502 -1.630 -0.016
C 2.020 0.895 -0.509 -0.029
C 2.308 -0.402 0.056 -0.023
C 2.052 -0.336 1.483 -0.019
C 2.370 -1.510 2.336 -0.002
H 2.364 -2.432 1.733 -0.001
H 1.590 -1.689 3.114 0.000
H 3.358 -1.484 2.818 0.000
C 1.535 0.991 1.774 -0.024
C 1.081 1.623 3.044 -0.002
H 1.895 1.865 3.742 0.000
H 0.404 0.985 3.614 0.000
H 0.528 2.545 2.831 -0.001
C 1.530 1.732 0.537 -0.031
C 1.269 3.199 0.393 -0.004
H 0.384 3.537 0.956 -0.002
H 1.153 3.488 -0.662 0.000
H 2.142 3.768 0.771 0.000
C 2.795 -1.591 -0.698 -0.002
H 3.860 -1.787 -0.483 0.000
H 2.716 -1.425 -1.782 0.000
H 2.228 -2.512 -0.474 -0.001
C 2.562 1.399 -1.799 -0.002
H 1.821 2.001 -2.353 -0.001
H 2.894 0.568 -2.438 0.000
H 3.448 2.040 -1.602 -0.001
C -2.950 -1.046 1.611 -0.018
H -3.632 -0.177 1.440 -0.002
C -2.875 -1.715 2.870 0.003
H -3.165 -1.198 3.784 0.001
C -2.663 -3.140 2.795 -0.004
H -2.965 -3.795 3.620 0.000
C -1.977 -3.650 1.730 0.009
H -1.501 -4.629 1.761 0.000
C -1.634 -2.800 0.643 -0.013
C -0.689 -3.154 -0.380 -0.014
H -0.325 -4.179 -0.450 0.000
C -0.704 -1.130 -1.798 -0.057
C -0.342 -3.146 -2.862 -0.002
H -0.288 -4.223 -2.953 0.000
C -0.272 -2.168 -3.777 -0.003
H -0.118 -2.245 -4.847 0.000
N -0.553 -0.967 -3.147 -0.009
C -0.732 0.298 -3.753 -0.001
C 0.299 0.872 -4.517 -0.001
C 0.152 2.205 -4.921 0.000
H 0.976 2.691 -5.463 0.000
C -1.005 2.934 -4.622 -0.001
C -1.195 4.337 -5.097 0.000
H -1.069 5.054 -4.278 0.000
H -2.208 4.469 -5.492 0.000
H -0.480 4.580 -5.886 0.000
C -2.002 2.336 -3.844 0.000
H -2.882 2.913 -3.541 0.000
C -1.901 1.009 -3.439 -0.001
C -3.015 0.381 -2.673 -0.002
H -3.567 -0.381 -3.243 0.000
H -3.724 1.164 -2.386 0.000
H -2.682 -0.094 -1.738 -0.002
C 1.569 0.138 -4.845 0.000
H 1.505 -0.406 -5.802 0.000
H 1.874 -0.581 -4.074 0.000
H 2.390 0.864 -4.958 0.000
S -0.550 -1.416 3.300 0.029
C -0.386 -1.190 4.999 0.145
N -1.352 -1.545 5.944 0.202
C -1.256 -1.116 7.250 0.189
C -0.205 -0.314 7.627 0.019
C 0.878 -0.122 6.763 0.254
C 0.798 -0.631 5.472 0.061
H -2.089 -2.210 5.704 0.007
H -2.029 -1.422 7.956 0.016
H -0.205 0.180 8.590 -0.006
H 1.784 0.398 7.082 0.021
H 1.619 -0.494 4.771 -0.001

=====

# 2
91
Properties=species:S:1:pos:R:3:lowdin_spin:R:1 method="wB97M-V/def2-TZVPD" homo_ev="-10.9 / -10.7" spin_multiplicity=2 homo_lumo_gap_ha="0.2638 / 0.2410" lumo_ha="-0.13543 / -0.15271" charge=+1
Re -0.530 0.804 -1.020 0.323
C 2.663 -0.368 -3.188 0.001
Si 2.861 0.782 -1.686 0.002
C 4.462 0.407 -0.705 0.000
C 2.814 2.654 -2.051 0.001
N 1.491 0.419 -0.602 0.005
P 1.465 0.527 1.055 0.053
C -0.318 0.498 1.104 0.454
P -1.244 -1.026 1.106 0.051
N -1.327 -1.052 -0.549 0.010
Si -2.501 -1.862 -1.604 0.001
C -2.947 -3.531 -0.786 0.000
C -1.581 -2.076 -3.252 0.002
C -4.102 -0.862 -1.835 0.000
C -2.856 -0.701 1.855 0.004
C -3.717 -1.705 2.287 0.000
C -4.996 -1.378 2.705 0.001
C -5.411 -0.056 2.713 0.001
C -4.539 0.950 2.324 0.001
C -3.268 0.628 1.888 0.009
C -0.553 -2.589 1.680 0.005
C 0.027 -3.449 0.755 0.001
C 0.522 -4.670 1.176 0.000
C 0.466 -5.016 2.518 0.001
C -0.074 -4.136 3.443 0.001
C -0.591 -2.922 3.028 0.001
C 2.016 2.173 1.557 0.006
C 1.121 3.225 1.392 0.004
C 1.528 4.524 1.634 0.000
C 2.841 4.781 2.004 0.001
C 3.734 3.734 2.169 0.001
C 3.321 2.429 1.964 0.001
C 2.460 -0.759 1.837 0.002
C 2.741 -1.899 1.093 0.000
C 3.505 -2.909 1.646 0.000
C 3.987 -2.783 2.941 0.000
C 3.679 -1.661 3.692 0.000
C 2.910 -0.645 3.148 0.000
H 3.321 -0.069 -3.997 0.000
H 1.643 -0.317 -3.554 0.000
H 2.882 -1.407 -2.961 0.000
H 5.329 0.565 -1.337 0.000
H 4.516 -0.609 -0.326 0.000
H 4.560 1.078 0.141 0.000
H 3.230 2.889 -3.025 0.000
H 3.379 3.224 -1.318 0.000
H 1.792 3.017 -2.026 0.000
H -2.092 -4.184 -0.641 0.000
H -3.653 -4.056 -1.422 0.000
H -3.423 -3.393 0.180 0.000
H -0.809 -2.838 -3.226 0.000